Monday, July 8, 2013

600th Post and a Contest

Hard as it is to believe, this is the 600th post for this blog.  When I started blogging, I didn't really have any idea of how to go about it--just that I wanted it to be my voice and with content that might amuse, bemuse or befuddle readers.  How do you think I've done?

Now to the contest part.  You can answer one, two, or all three questions.  There will be a prize for each question.  You may only win once (even if you answer all the questions correctly).  There are a couple questions that some more local people may not participate in because you already know the answers (that would be called an unfair advantage).  So many rules...but it's only fair.  There may be at least one question you may have to -- horrors  -- guess at!

Here we go:

Question 1:  On July 1, 2013, I started something new.  It is not quilting-related.  What am I doing?

Question 2:  How many boxers (dogs!) have I had?

Question 3:  What is growing outside my kitchen window that might normally not get quite so big?

You have until 10:00 p.m. EST on Saturday, July 13,  to hazard a guess to these three questions.  You must comment on this blog post to be entered.  No exceptions!  For those readers not in the US--you can play too!  I know how to do international mail!

Thanks for sticking with me!

Blissful hugs,


  1. Congratulations on your 600th post! you are definitely keeping us amused ;)

    Now for a stab in the dark on your questions... Here goes:

    On July 1st 2013 you started ..... Wait for it......
    A new month with all your ironing done!

    Boxers? Humph.... 3 including lynnie... ?

    Outside that kitchen window... Are we counting the rabbits, woodchucks, deer, vines, bird houses where a spruce tree once stood, bird nests, corn or beautiful sunsets?


  2. I think I know the answer to the first question - riding/training Morgan horses.

    Question 2: 1?

    Question 3: A hop vine?


  3. Question 1 - hard to tell with you - taking up painting?
    Question 2 - 1
    Question 3 - some kind of flowering vine

  4. Sharon, thank you for your is a joy to read!

    Question 1: Cleaning the sewing rooms and mud room.
    Question 2: 1
    Question 3: Hop vine

  5. Congratulations on your 600th blog. It has been a pleasure and a whole lot of fun following your adventures and life with us.

Attached: calculated molecules
┌──
Formula: C22H34ClN3O5
Source: the OMol25 dataset
Level of theory: ωB97M-V/def2-TZVPD

The geometry in ORCA input format:
```
! RIJCOSX wB97M-V def2-TZVPD def2/J DEFGRID3
* xyz 0 1
C 5.889 1.713 0.411
C 4.703 0.792 0.558
C 4.859 -0.573 0.716
C 3.727 -1.374 0.851
C 2.447 -0.857 0.863
C 1.205 -1.731 1.002
C 1.536 -3.206 1.245
C 0.491 -1.688 -0.383
C 2.292 0.536 0.741
O 0.992 0.992 0.813
C 0.770 2.348 0.543
C -0.592 2.695 1.166
C -0.449 2.290 2.581
N -0.283 2.042 3.680
N -0.853 4.136 1.171
C -0.625 4.746 0.132
O -0.339 5.304 -0.829
C -1.803 1.899 0.532
Cl -1.476 1.302 -1.111
C -2.315 0.860 1.433
N -2.746 0.114 2.194
C 3.414 1.324 0.572
H 6.276 2.038 1.373
H 6.654 1.201 -0.170
H 5.603 2.597 -0.158
H 5.842 -1.016 0.731
H 3.907 -2.427 0.946
H 0.529 -1.336 1.758
H 1.874 -3.413 2.257
H 0.643 -3.780 0.999
H 2.275 -3.524 0.514
H -0.561 -1.961 -0.313
H 0.970 -2.451 -1.000
H 0.654 -0.746 -0.892
H 1.486 3.034 0.996
H 0.759 2.507 -0.538
H -2.622 2.608 0.443
H 3.327 2.395 0.445
C -6.721 1.332 0.717
C -6.411 -0.125 0.419
O -5.905 -0.289 -0.901
H -7.469 1.713 0.020
H -7.095 1.455 1.734
H -5.825 1.948 0.599
H -7.313 -0.728 0.515
H -5.659 -0.514 1.112
H -5.103 0.239 -0.935
C 7.398 -5.137 0.246
C 6.340 -4.268 0.899
O 5.632 -3.492 -0.069
H 8.106 -4.521 -0.309
H 7.945 -5.717 0.991
H 6.943 -5.830 -0.466
H 6.798 -3.564 1.593
H 5.627 -4.885 1.455
H 5.212 -4.104 -0.682
C -5.965 1.584 -3.740
C -7.160 2.519 -3.771
O -8.371 1.801 -3.982
H -5.893 1.027 -4.674
H -5.036 2.140 -3.590
H -6.074 0.856 -2.934
H -7.070 3.236 -4.585
H -7.234 3.076 -2.830
H -8.467 1.171 -3.260
*
```

Output
SMILES string	Cc1ccc(C(C)C)c(OC[C@@](C#N)(N=C=O)[C@@H](Cl)C#N)c1.CCO.CCO.CCO
max |F|	1.380	eV Å⁻¹
LUMO	0.082	eV
HOMO	-8.54	eV

=====

Record 1
Below is a structure of composition C23H34CrF4N4O2Si, with properties calculated with ωB97M-V with the def2-TZVPD basis set.

2S+1: 2
Total charge: +1
Electronic energy: -81621.489 eV
Frontier orbital gap (alpha / beta): 5.5 / 7.4 eV

Each line ends with the Mulliken charge.
Cartesian coordinates (Å):
Cr: 0.42634 0.01859 -0.03412  -0.2205
C: -0.07456 1.77909 3.04148  -1.4274
C: -0.16066 0.25899 2.94288  -0.4577
N: 0.81784 -0.42061 2.06368  1.2051
C: 2.20104 -0.25921 2.58048  -0.5969
C: 2.96174 1.00009 2.17938  -1.2428
C: 0.51324 -1.87401 2.13658  -1.3263
C: -0.61966 -2.31231 1.21488  -1.0640
N: -0.41006 -1.66911 -0.04972  1.4015
C: -0.77066 -2.21381 -1.21052  -1.0043
C: -0.45676 -1.48811 -2.38402  1.0275
F: 0.15914 -0.25521 -2.17682  -0.2333
C: -0.75976 -1.89821 -3.66322  0.0494
F: -0.42936 -1.11911 -4.69952  -0.3130
C: -1.41276 -3.10001 -3.87452  -0.5536
C: -1.74716 -3.84421 -2.75172  0.1895
F: -2.39526 -4.99701 -2.92042  -0.3067
C: -1.45146 -3.43251 -1.46302  0.4616
F: -1.86316 -4.20991 -0.44282  -0.3617
H: -1.00686 2.13229 3.47668  0.4458
H: 0.03634 2.24689 2.06608  0.2351
H: 0.72624 2.10969 3.69798  0.3669
H: -1.13936 -0.00021 2.54088  -0.0277
H: -0.07496 -0.15441 3.95768  0.4579
H: 2.79034 -1.10681 2.21858  0.5763
H: 2.17694 -0.31651 3.67538  0.3527
└──
The calculated molecules stop here

    Question 1: Organizing and cleaning your mud & sewing room, doing laundry, ironing & listening to books.

    Question 2: You have had 3 dogs.

    Question 3: You have seen beautiful sunsets, various forms of wildlife that include: deer, bunny rabbits, woodchucks, various kinds of birds, flowers, corn, hedgerow, vine where your blue spruce stood before, birdhouse and plants .

    Remember May the Bliss be with you Always :)

  6. Hi Sharon,

    1. Painting
    2. Two
    3. Hops vine

    Thanks for all you posts you keep us entertained and informed. I hope you become president soon so that you can slow time. :-)


  7. Hi Sharon,

    Thanks for all the laughter and education!

    1. Reiki
    2. Two
    3. Your lawn growing at the speed of light.

    Rose Pease

  8. Hi Sharon
    Here are my guesses
    1 Reike master
    2 3 boxers
    3 weeds and grass

    See you Monday


  9. Well darn, I commented the other day and don't see it, I stink a replies on blogs! haha
    well here WERE my answers although they are too late :(
    1. reiki
    2. 3
    3. corn


Don't be shy! Leave me a's so lonely without hearing from you!